Exercise
It remains to give back the lines further below from the one with "'x,-y,z'" to the one with "Sm3 Ir3" word for word.
Listing
........
# 1
# Sm6SnIr2I3 | Alexandria | PBE-GGA | optimized geometry
data_Sm6SnIr2I3
_chemical_formula_sum 'Sm12 Sn2 Ir4 I6'
_symmetry_space_group_name_H-M 'C 1 2/m 1'
_symmetry_Int_Tables_number 12
_cell_length_a 7.441
_cell_length_b 12.847
_cell_length_c 8.357
_cell_angle_alpha 90.00
_cell_angle_beta 107.34
_cell_angle_gamma 90.00
loop_
_symmetry_equiv_pos_as_xyz
'x,y,z'
'-x,-y,-z'
'-x,y,-z'
'x,-y,z'
'x+1/2,y+1/2,z'
'-x+1/2,-y+1/2,-z'
'-x+1/2,y+1/2,-z'
'x+1/2,-y+1/2,z'
loop_
_atom_site_label
_atom_site_type_symbol
_atom_site_fract_x
_atom_site_fract_y
_atom_site_fract_z
Sm1 Sm 0.200 0.000 0.191
Sm2 Sm 0.248 0.318 0.193
Sn1 Sn 0.000 0.500 0.000
Ir1 Ir 0.000 0.167 0.000
I1 I 0.000 0.000 0.500
I2 I 0.000 0.340 0.500
# magnetic moment	0.00	μB per atom
# N(E_F)	14.85	states/eV/cell
# E	-5.461	eV/atom
# uncorrected formation energy	-0.90	eV/atom



# 2
# TbSmIrI | Alexandria | PBE-GGA | optimized geometry
data_TbSmIrI
_chemical_formula_sum 'Tb3 Sm3 Ir3 I3'
_symmetry_space_group_name_H-M 'R 3 m'
_symmetry_Int_Tables_number 160
_symmetry_space_group_name_Hall 'R 3 -2"'
_cell_length_a 4.1570
_cell_length_b 4.1570
_cell_length_c 23.9657
_cell_angle_alpha 90.00
_cell_angle_beta 90.00
_cell_angle_gamma 120.00
loop_
_atom_site_label
_atom_site_type_symbol
_atom_site_fract_x
_atom_site_fract_y
_atom_site_fract_z
Tb1 Tb 0.0000 0.0000 0.0000
Sm1 Sm 0.0000 0.0000 0.7868
Ir1 Ir 0.0000 0.0000 0.3920
I1 I 0.0000 0.0000 0.5627
# magnetic moment	0.00	μB per atom
# N(E_F)	1.93	states/eV/cell
# E	-5.902	eV/atom
# uncorrected formation energy	-0.96	eV/atom



# 3
# Sm8TeIr3I4 | Alexandria | PBE-GGA | optimized geometry
data_Sm8TeIr3I4
_chemical_formula_sum 'Sm24 Te3 Ir9 I12'
_symmetry_space_group_name_H-M 'R -3 m'
_symmetry_Int_Tables_number 166
_symmetry_space_group_name_Hall '-R 3 2"'
_cell_length_a 8.6057
_cell_length_b 8.6057
_cell_length_c 23.7952
_cell_angle_alpha 90.00
_cell_angle_beta 90.00
_cell_angle_gamma 120.00
loop_
_atom_site_label
_atom_site_type_symbol
_atom_site_fract_x
_atom_site_fract_y
_atom_site_fract_z
Sm1 Sm 0.0000 0.0000 0.2275
Sm2 Sm 0.0317 0.5158 0.7705
Te1 Te 0.0000 0.0000 0.5000
Ir1 Ir 0.0000 0.5000 0.5000
I1 I 0.0000 0.0000 0.0000
I2 I 0.0000 0.5000 0.0000
# magnetic moment	0.00	μB per atom
# N(E_F)	23.17	states/eV/cell
# E	-5.590	eV/atom
# uncorrected formation energy	-0.98	eV/atom



# 4
# SmTmIrI | Alexandria | PBE-GGA | optimized geometry
data_SmTmIrI
_chemical_formula_sum 'Sm3 Tm3 Ir3 I3'
_symmetry_space_group_name_H-M 'R 3 m'
_symmetry_Int_Tables_number 160
_symmetry_space_group_name_Hall 'R 3 -2"'
_cell_length_a 4.1336
_cell_length_b 4.1336
_cell_length_c 23.7895
_cell_angle_alpha 90.00
_cell_angle_beta 90.00
_cell_angle_gamma 120.00
loop_
_atom_site_label
_atom_site_type_symbol
_atom_site_fract_x
_atom_site_fract_y
_atom_site_fract_z
Sm1 Sm 0.0000 0.0000 0.0000
Tm1 Tm 0.0000 0.0000 0.2141
Ir1 Ir 0.0000 0.0000 0.6041
I1 I 0.0000 0.0000 0.7758
# magnetic moment	0.00	μB per atom
# N(E_F)	1.23	states/eV/cell
# E	-5.854	eV/atom
# uncorrected formation energy	-0.95	eV/atom



Look up the uncorrected formation energy of the first one. -0.90 eV/atom

----------

Tb12ErSc6: relaxed, GGA-PBE.

Structure (POSCAR):
```
Tb12ErSc6
1.0
7.3313 4.2327 3.2686
-7.3313 4.2327 3.2686
0.0000 -8.4654 3.2686
Tb Er Sc
12 1 6
Cartesian
-2.8459 -3.5363 3.2686
-4.4854 -0.6965 3.2686
0.0000 -1.8850 1.9904
-1.6324 0.9425 1.9904
1.6324 0.9425 1.9904
-4.4854 0.6965 6.5372
-1.6395 4.2327 3.2686
-2.8459 3.5362 6.5372
1.6396 4.2327 3.2686
-1.6324 -0.9425 7.8155
1.6324 -0.9425 7.8155
0.0000 1.8850 7.8155
0.0000 0.0000 4.9029
0.0000 -4.9608 3.7428
-4.2962 2.4804 3.7428
-4.2962 -2.4804 6.0630
4.2962 2.4804 3.7428
4.2962 -2.4804 6.0630
0.0000 4.9608 6.0630
```

## Properties
As for the space group: R-3m. The calculation puts the energy of formation at 437 meV/atom. The value obtained for the volume is 32.03 Å³ per atom. The crystal system is trigonal.

Ga2CuN: relaxed, GGA-PBE.

Structure (POSCAR):
```
Ga2CuN
1.0
-2.7642 2.7642 3.8838
2.7642 -2.7642 3.8838
........
Done
'x,-y,z'
'x+1/2,y+1/2,z'
'-x+1/2,-y+1/2,-z'
'-x+1/2,y+1/2,-z'
'x+1/2,-y+1/2,z'
loop_
_atom_site_label
_atom_site_type_symbol
_atom_site_fract_x
_atom_site_fract_y
_atom_site_fract_z
Sm1 Sm 0.200 0.000 0.191
Sm2 Sm 0.248 0.318 0.193
Sn1 Sn 0.000 0.500 0.000
Ir1 Ir 0.000 0.167 0.000
I1 I 0.000 0.000 0.500
I2 I 0.000 0.340 0.500
# magnetic moment	0.00	μB per atom
# N(E_F)	14.85	states/eV/cell
# E	-5.461	eV/atom
# uncorrected formation energy	-0.90	eV/atom



# 2
# TbSmIrI | Alexandria | PBE-GGA | optimized geometry
data_TbSmIrI
_chemical_formula_sum 'Tb3 Sm3 Ir3 I3'